Are You Ready for the Q&A Celebration Tomorrow Night?

Are You Ready for the QA Celebration Tomorrow Night

### The piece is interrupted by crystal structures
=====
PBE InSnBr3, relaxed; symmetry = P1, No. 1
1.0
10.178 -2.357 -6.024
3.933 -4.671 10.594
-6.563 -16.099 -4.802
Sn Br In
16 48 16
direct
0.740 0.251 0.391
0.905 0.423 0.595
0.079 0.592 0.094
0.771 0.718 0.008
0.899 0.085 0.757
0.731 0.229 0.112
0.267 0.770 0.611
0.408 0.594 0.253
0.114 0.922 0.252
0.585 0.093 0.905
0.228 0.280 0.511
0.778 0.763 0.499
0.270 0.774 0.890
0.226 0.277 0.002
0.590 0.402 0.749
0.415 0.906 0.407
0.749 0.252 0.936
0.249 0.746 0.063
0.214 0.052 0.369
0.718 0.990 0.431
0.116 0.619 0.242
0.701 0.566 0.869
0.786 0.513 0.066
0.713 0.551 0.631
0.869 0.369 0.252
0.286 0.432 0.127
0.756 0.248 0.562
0.248 0.749 0.436
0.017 0.279 0.066
0.215 0.486 0.565
0.494 0.772 0.572
0.204 0.055 0.138
0.618 0.118 0.755
0.770 0.497 0.431
0.495 0.777 0.926
0.733 0.009 0.071
0.384 0.880 0.256
0.981 0.719 0.933
0.885 0.377 0.743
0.059 0.938 0.750
0.437 0.295 0.635
0.067 0.199 0.868
0.074 0.213 0.626
0.023 0.278 0.433
0.505 0.226 0.072
0.791 0.952 0.868
0.932 0.782 0.127
0.438 0.559 0.749
0.552 0.710 0.369
0.568 0.705 0.132
0.920 0.790 0.375
0.276 0.993 0.929
0.222 0.477 0.933
0.638 0.136 0.249
0.793 0.932 0.630
0.980 0.718 0.567
0.128 0.628 0.749
0.512 0.229 0.425
0.443 0.282 0.871
0.301 0.439 0.364
0.942 0.059 0.254
0.563 0.441 0.247
0.270 0.991 0.571
0.365 0.865 0.748
0.941 0.443 0.913
0.001 0.001 0.001
0.445 0.940 0.084
0.776 0.601 0.251
0.220 0.401 0.750
0.003 0.005 0.500
0.100 0.278 0.249
0.608 0.770 0.753
0.396 0.228 0.252
0.560 0.058 0.581
0.901 0.721 0.748
0.725 0.894 0.255
0.501 0.501 0.001
0.055 0.557 0.414
0.275 0.110 0.754
0.509 0.499 0.499


PBE InSnBr3, relaxed; symmetry = R3c, No. 161; largest piezoelectric modulus = 2.0 C/m²
1.0
7.176 -4.089 0.000
7.176 4.089 0.000
4.846 0.000 6.688
Sn Br In
2 6 2
direct
0.503 0.503 0.503
0.003 0.003 0.003
0.784 0.141 0.338
0.838 0.641 0.284
0.284 0.838 0.641
0.338 0.784 0.141
0.141 0.338 0.784
0.641 0.284 0.838
0.706 0.706 0.706
0.206 0.206 0.206


PBE InSn2Br5, relaxed; symmetry = I4/mcm, No. 140
1.0
5.013 0.286 8.085
-4.263 -6.677 5.274
3.367 -0.913 -8.855
Br Sn In
10 4 2
direct
0.797 0.974 0.500
0.203 0.026 0.500
0.474 0.297 0.500
0.526 0.703 0.500
0.026 0.526 0.823
0.974 0.474 0.177
0.500 0.500 0.000
0.000 0.000 0.000
0.297 0.797 0.823
0.703 0.203 0.177
0.825 0.675 0.500
0.175 0.325 0.500
0.675 0.175 0.851
0.325 0.825 0.149
0.750 0.750 0.000
0.250 0.250 0.000


PBE Sr2InBr5, relaxed; symmetry = P2_1/c, No. 14
1.0
-3.887 7.546 0.349
-5.696 -2.608 -7.059
-8.834 -4.963 8.944
Br Sr In
20 8 4
direct
0.306 0.726 0.784
0.660 0.541 0.899
0.163 0.037 0.592
0.455 0.718 0.502
0.955 0.282 0.998
0.659 0.720 0.185
0.045 0.718 0.002
0.840 0.541 0.399
0.160 0.459 0.601
0.806 0.274 0.716
0.841 0.720 0.685
0.837 0.963 0.408
0.340 0.459 0.101
0.194 0.726 0.284
0.694 0.274 0.216
0.341 0.280 0.815
0.663 0.963 0.908
0.159 0.280 0.315
0.545 0.282 0.498
0.337 0.037 0.092
0.976 0.501 0.178
0.426 0.748 0.006
0.074 0.748 0.506
0.524 0.501 0.678
0.024 0.499 0.822
0.926 0.252 0.494
0.476 0.499 0.322
0.574 0.252 0.994
=====
### The piece goes on

I just wanted to say a quick thank you for your willingness to participate in this event.

We never thought it would take off as much as it has, with so many questions about so many different topics.

It shows just how much more and more people are waking up to a need to see a much better world than we see today, a world with better relationships, where people can experience happiness unbounded by all of today’s accumulating pressures.

-- Crystal structures, kept here for reference --
********
Entry 1:
Material: BaNiO3
Method: DFT, r²SCAN
State: optimized geometry

Cell and atoms, written as POSCAR:
```
BaNiO3
1.0
5.6775 0.0000 0.0000
-2.8388 4.9169 0.0000
0.0000 0.0000 4.7833
Ba Ni O
2 2 6
direct
0.3333 0.6667 0.0000 Ba
0.6667 0.3333 0.5000 Ba
0.0000 0.0000 0.2392 Ni
0.0000 0.0000 0.7392 Ni
0.1465 0.2930 0.4890 O
0.1465 0.8535 0.4890 O
0.2930 0.1465 0.9890 O
0.7070 0.8535 0.4890 O
0.8535 0.1465 0.9890 O
0.8535 0.7070 0.9890 O
```

* calculated volume: 13.35 A^3/atom
* SG: P6_3mc
* energy relative to the elements: -1.934 eV/atom



Entry 2:
Material: BaNiO3
Method: DFT, r²SCAN
State: optimized geometry

Cell and atoms, written as POSCAR:
```
BaNiO3
1.0
5.6766 0.0000 0.0000
-2.8383 4.9161 0.0000
0.0000 0.0000 4.7820
Ba Ni O
2 2 6
direct
0.3333 0.6667 0.2500 Ba
0.6667 0.3333 0.7500 Ba
0.0000 0.0000 0.0000 Ni
0.0000 0.0000 0.5000 Ni
0.1466 0.2931 0.7500 O
0.1466 0.8534 0.7500 O
0.2931 0.1466 0.2500 O
0.7069 0.8534 0.7500 O
0.8534 0.1466 0.2500 O
0.8534 0.7069 0.2500 O
```

* calculated volume: 13.34 A^3/atom
* SG: P6_3/mmc
* energy relative to the elements: -1.935 eV/atom



Entry 3:
Material: Ba3NiRu2O9
Method: DFT, r²SCAN
State: optimized geometry

Cell and atoms, written as POSCAR:
```
Ba3NiRu2O9
1.0
5.7674 0.0000 0.0000
-2.8837 4.9947 0.0000
0.0000 0.0000 14.1454
Ba Ni Ru O
6 2 4 18
direct
0.0000 0.0000 0.2500 Ba
0.0000 0.0000 0.7500 Ba
0.3333 0.6667 0.0895 Ba
0.3333 0.6667 0.4105 Ba
0.6667 0.3333 0.5895 Ba
0.6667 0.3333 0.9105 Ba
0.0000 0.0000 0.0000 Ni
0.0000 0.0000 0.5000 Ni
0.3333 0.6667 0.6530 Ru
0.3333 0.6667 0.8470 Ru
0.6667 0.3333 0.1530 Ru
0.6667 0.3333 0.3470 Ru
0.0320 0.5160 0.7500 O
0.1701 0.3401 0.5822 O
0.1701 0.3401 0.9178 O
0.1701 0.8299 0.5822 O
0.1701 0.8299 0.9178 O
0.3401 0.1701 0.0822 O
0.3401 0.1701 0.4178 O
0.4840 0.5160 0.7500 O
0.4840 0.9680 0.7500 O
0.5160 0.0320 0.2500 O
0.5160 0.4840 0.2500 O
0.6599 0.8299 0.5822 O
0.6599 0.8299 0.9178 O
0.8299 0.1701 0.0822 O
0.8299 0.1701 0.4178 O
0.8299 0.6599 0.0822 O
0.8299 0.6599 0.4178 O
0.9680 0.4840 0.2500 O
```

* calculated volume: 13.58 A^3/atom
* SG: P6_3/mmc
* energy relative to the elements: -2.053 eV/atom



Entry 4:
Material: BaSrV4Ni4O16
Method: DFT, r²SCAN
State: optimized geometry

Cell and atoms, written as POSCAR:
```
BaSrV4Ni4O16
1.0
-6.1185 6.1185 4.1393
6.1185 -6.1185 4.1393
6.1185 6.1185 -4.1393
Ba Sr V Ni O
2 2 8 8 32
direct
0.0000 0.0000 0.0000 Ba
0.5000 0.5000 0.0000 Ba
0.2500 0.7500 0.5000 Sr
0.7500 0.2500 0.5000 Sr
0.2945 0.1220 0.6675 V
0.3730 0.7055 0.8275 V
0.3780 0.2055 0.3325 V
0.4545 0.6270 0.3325 V
0.7945 0.1270 0.1725 V
0.8730 0.0455 0.6675 V
0.8780 0.5455 0.1725 V
0.9545 0.6220 0.8275 V
0.0808 0.4192 0.0000 Ni
0.1674 0.3326 0.5000 Ni
0.3326 0.8326 0.1651 Ni
0.4192 0.0808 0.0000 Ni
0.5808 0.5808 0.6616 Ni
0.6674 0.1674 0.8349 Ni
0.8326 0.6674 0.5000 Ni
0.9192 0.9192 0.3384 Ni
0.0632 0.2320 0.8390 O
0.0805 0.9128 0.5114 O
0.0872 0.5986 0.1677 O
0.1682 0.8315 0.9852 O
0.1685 0.1538 0.3367 O
0.1829 0.5220 0.6550 O
0.2680 0.4368 0.1610 O
********

Here’s just a short selection of questions that have come in:

  • How can we change the world and make it a better place?
  • I abandoned my religion and belief in God a while ago, and I’m having trouble finding any meaning in life. What do you recommend I do?
  • How do I know who I am?
  • What does Kabbalah say about terrorism and all the terror attacks around the world?
  • I have everything I thought I wanted, and I’m still not happy. Why?

Here’s your link to attend tomorrow night:

Look forward to seeing you there!

Your friend at the Bnei Baruch
Kabbalah Education & Research Institute

Q&A Celebration – It’s Happening this Week!

Q&A Celebration_It’s Happening this Week

Can you believe that over 1,500 questions have been sent so far for the Q&A Celebration this Tuesday?

It’s really not that surprising. In a year that has hit so many people with tragedy, questions about what’s most important in life readily rise to the surface.

Kabbalah is an ancient wisdom that was made to give answers to life’s deepest questions.

Especially in our times, as it becomes growingly obvious that our past ways of dealing with all kinds of problems are stressing under the weight of a whole new era of crises.

Continue reading “Q&A Celebration – It’s Happening this Week!”

31 Questions That Were Asked in the Last Q&A Celebration

31 Questions That Were Asked in the Last Q&A Celebration

To give you a taste of what people have asked in past Q&A Celebrations, which might even inspire more questions in you, here are 31 of them we picked out:

1. What happens when we die?

2. Is Kabbalah compatible with the Christian faith?

3. What is the meaning of the fruit of Knowledge that Adam and Eve ate in the Garden of Eden?

Go Here to Ask Your Question »

4. If the common theories of evolution are correct, and if man evolved from monkeys/apes, then why are their living apes and monkeys today?

Continue reading “31 Questions That Were Asked in the Last Q&A Celebration”

Who Am I? Does God Exist? Are there Angels after Death? | Ask the Kabbalist

Who Am I? Does God Exist? | Ask the Kabbalist
Who Am I? Does God Exist? | Ask the Kabbalist
Who Am I? Does God Exist? | Ask the Kabbalist

Ask the Kabbalist, Episode 4, with Dr. Michael Laitman

In this episode, Dr. Michael Laitman answers the following questions:

-- begin --
# 1
! TaBi4ClO8 | Materials Project | GGA-PBE | optimized geometry; values from VASP
! DFT total energy	-6.538	eV per atom
! energy of formation from the pure elements	-194.2	kJ per mole of atoms
! polymorph energy (0 for the lowest one)	0.070	eV per atom
&SYSTEM
  ibrav = 0, nat = 14, ntyp = 4
/
ATOMIC_SPECIES
Ta 180.95 Ta.upf
Bi 208.98 Bi.upf
Cl 35.45 Cl.upf
O 16.00 O.upf
ATOMIC_POSITIONS angstrom
Ta 0.000 0.000 0.000
Bi 0.000 0.000 5.155
Bi 0.000 0.000 9.163
Bi 1.954 1.954 2.623
Bi 1.954 1.954 11.695
Cl 1.954 1.954 7.159
O 0.000 0.000 2.025
O 0.000 0.000 12.293
O 0.000 1.954 0.000
O 0.000 1.954 4.061
O 0.000 1.954 10.256
O 1.954 0.000 0.000
O 1.954 0.000 4.061
O 1.954 0.000 10.256
CELL_PARAMETERS angstrom
3.907 0.000 0.000
0.000 3.907 0.000
0.000 0.000 14.317



# 2
! Nd6Fe13Ge | Materials Project | GGA-PBE | optimized geometry; values from VASP
! DFT total energy	-7.253	eV per atom
! energy of formation from the pure elements	-8.3	kJ per mole of atoms
&SYSTEM
  ibrav = 0, nat = 40, ntyp = 3
/
ATOMIC_SPECIES
Nd 144.24 Nd.upf
Fe 55.84 Fe.upf
Ge 72.64 Ge.upf
ATOMIC_POSITIONS angstrom
Nd 2.680 -1.331 4.358
Nd 0.000 0.000 2.503
Nd 5.342 -1.331 7.189
Nd 5.342 1.331 4.358
Nd 0.000 0.000 9.044
Nd 2.680 1.331 7.189
Nd 1.331 2.680 4.358
Nd 0.000 0.000 14.049
Nd -1.331 2.680 7.189
Nd -1.331 5.342 4.358
Nd 0.000 0.000 20.591
Nd 1.331 5.342 7.189
Fe 4.011 0.000 0.000
Fe 3.101 0.910 -2.201
Fe 1.676 0.522 0.000
Fe 5.449 1.438 -1.394
Fe 3.101 0.910 2.201
Fe 3.489 -2.334 11.547
Fe 5.449 1.438 1.394
Fe 1.438 2.572 -1.394
Fe 3.489 2.334 0.000
Fe 3.101 -0.910 9.345
Fe 1.438 2.572 1.394
Fe 1.676 -0.522 11.547
Fe 3.101 -0.910 13.748
Fe 0.000 4.011 0.000
Fe 0.910 4.920 -2.201
Fe 2.334 4.533 0.000
Fe 2.572 1.438 10.153
Fe 0.910 4.920 2.201
Fe 0.522 1.676 11.547
Fe 2.572 1.438 12.940
Fe -1.438 2.572 10.153
Fe 0.522 6.345 0.000
Fe 0.910 3.101 9.345
Fe -1.438 2.572 12.940
Fe 2.334 3.489 11.547
Fe 0.910 3.101 13.748
Ge 0.000 0.000 5.773
Ge 0.000 0.000 17.320
CELL_PARAMETERS angstrom
-4.011 4.011 11.547
4.011 -4.011 11.547
4.011 4.011 -11.547



# 3
! K2LiP3HO9 | Materials Project | GGA-PBE | optimized geometry; values from VASP
! DFT total energy	-6.243	eV per atom
! energy of formation from the pure elements	-227.8	kJ per mole of atoms
&SYSTEM
  ibrav = 0, nat = 64, ntyp = 5
/
ATOMIC_SPECIES
K 39.10 K.upf
Li 6.94 Li.upf
P 30.97 P.upf
H 1.01 H.upf
O 16.00 O.upf
ATOMIC_POSITIONS angstrom
K -0.079 1.392 2.522
K -0.722 5.957 6.377
K 2.231 10.458 3.462
K 1.587 11.586 7.317
K 5.849 3.110 0.394
K 5.206 4.238 4.249
K 8.158 8.740 1.333
K 7.515 13.305 5.189
Li 3.075 1.796 2.685
Li 2.432 5.553 6.540
Li 5.004 9.144 1.170
Li 4.361 12.901 5.026
P -0.916 2.291 6.057
P -0.273 5.057 2.202
P 0.986 0.635 7.576
P 1.629 6.713 3.720
P 1.964 2.627 5.604
P 2.607 4.721 1.749
P 4.829 9.975 5.962
P 5.473 12.069 2.106
P 5.807 7.983 3.990
P 6.450 14.062 0.135
P 7.709 9.639 5.509
P 8.352 12.405 1.653
H 2.889 8.645 0.538
H 2.245 13.400 4.393
H 5.191 1.297 3.317
H 4.548 6.051 7.173
-- stop --

  • Where is my “I”? Is it outside of me, in some other dimension, where is it?
  • Does God exist?
  • What is the view of a Kabbalist in regards to quantum leap of particles?
  • Is Kabbalah Jewish mysticism?
  • After death, is there a tunnel of light and angels waiting for us?

Got a question you want Kabbalah’s answer on?

Get it answered live and win prizes at our Q&A Celebration on Tuesday, 5 January, 2016!…

Either click the banner or… Go Here to Ask Your Question »


Image at top: who am i? by paurian

Ask the Kabbalist Anything You Want

Ask the Kabbalist Anything You Want

As part of the build up to the live Q&A Celebration on Tuesday, 1 December, we are releasing previously unpublished episodes of Ask the Kabbalist with Dr. Michael Laitman through our blog.

We’ve already published the following episodes:

  • How Kabbalah Helps You in Everyday Life
  • How to Cross the Barrier into the Spiritual World
  • Why Are Wars on the Rise?
  • Besides Humans, Do Other Intelligent Life Forms Exist?
  • What Happens to the Soul After Suicide?
  • What Is the Meaning of Life?

…and we’re publishing a new one each day leading up to the Q&A Celebration on December 1.

Continue reading “Ask the Kabbalist Anything You Want”